Oops, I disappeared for a long time there - I've been very busy. I'm still interested in this topic and this thread, but sadly it seems to have encountered some problems.

I'm thinking of starting a new thread just for posting some of the information I've been researching about Julian, and brainstorming (as a group) about what his reign might have been like. Would anyone else be interested in this?
Oops, I disappeared for a long time there - I've been very busy. I'm still interested in this topic and this thread, but sadly it seems to have encountered some problems.

I'm thinking of starting a new thread just for posting some of the information I've been researching about Julian, and brainstorming (as a group) about what his reign might have been like. Would anyone else be interested in this?
I'm down
I am here to reassure that this thread is still fully operational.

The update coming is VERY story-important so it takes a while to make it correctly. If that is what you were referring to (lack of update) don't worry it is coming.
Chapter VIII

• Data records from another source follow:
********
[1]
Here is a relaxed structure of Dy2HoSc4 from Alexandria via LeMat-Bulk. Energies are from PBE-GGA.

Unit cell a=3.3639 b=7.6469 c=7.6469 alpha=87.75 beta=90.00 gamma=90.00
Closest atoms and distances in Å follow each position.
Fractional coordinates of all 7 atoms:
Sc  0.5000  0.5000  0.0000  6 Sc 3.15-3.36, 4 Dy 3.28
Sc  0.5000  0.0000  0.5000  6 Sc 3.15-3.36, 4 Dy 3.28
Sc  0.0000  0.7707  0.7707  6 Sc 3.15-3.36, 2 Dy 3.27, 2 Ho 3.43
Ho  0.5000  0.5000  0.5000  2 Ho 3.36, 4 Sc 3.43, 4 Dy 3.63
Sc  0.0000  0.2293  0.2293  6 Sc 3.15-3.36, 2 Dy 3.27, 2 Ho 3.43
Dy  0.0000  0.8038  0.1962  6 Sc 3.27-3.28, 2 Dy 3.36, 2 Ho 3.63
Dy  0.0000  0.1962  0.8038  6 Sc 3.27-3.28, 2 Dy 3.36, 2 Ho 3.63

Output
- energy above the lowest structure with this stoichiometry (kJ/mol of formula units) = 2.0
- size of the total moment (μB/cell) = 0.00

---

[2]
Here is a relaxed structure of Dy2Ho4Sc3 from Alexandria via LeMat-Bulk. Energies are from PBE-GGA.

Unit cell a=3.4826 b=3.4826 c=25.1387 alpha=90.00 beta=90.00 gamma=120.00
Closest atoms and distances in Å follow each position.
Fractional coordinates of all 9 atoms:
Sc  0.0000  0.0000  0.9801  6 Dy 3.31-3.35, 6 Sc 3.48
Dy  0.6667  0.3333  0.8736  3 Sc 3.35, 6 Dy 3.48, 3 Ho 3.53
Sc  0.6667  0.3333  0.6527  6 Ho 3.33, 6 Sc 3.48
Ho  0.6667  0.3333  0.4323  3 Sc 3.34, 9 Ho 3.48-3.52
Ho  0.0000  0.0000  0.7582  3 Sc 3.33, 6 Ho 3.48, 3 Dy 3.53
Dy  0.6667  0.3333  0.0846  3 Sc 3.31, 1 Ho 3.46, 6 Dy 3.48
Ho  0.6667  0.3333  0.2222  3 Sc 3.30, 1 Dy 3.46, 6 Ho 3.48
Sc  0.0000  0.0000  0.3264  6 Ho 3.30-3.34, 6 Sc 3.48
Ho  0.0000  0.0000  0.5471  3 Sc 3.33, 9 Ho 3.48-3.52

Output
- energy above the lowest structure with this stoichiometry (kJ/mol of formula units) = 0.0
- size of the total moment (μB/cell) = 0.00

---

[3]
Here is a relaxed structure of Dy5HoSc4 from Alexandria via LeMat-Bulk. Energies are from PBE-GGA.

Unit cell a=7.6832 b=8.7368 c=8.7327 alpha=90.00 beta=90.00 gamma=90.00
Closest atoms and distances in Å follow each position.
Fractional coordinates of all 20 atoms:
Sc  0.5875  0.0000  0.7300  4 Sc 3.15-3.33, 4 Dy 3.17-3.48, 1 Ho 3.24
Dy  0.2001  0.8081  0.1919  4 Sc 3.17-3.48, 5 Dy 3.35-3.52, 1 Ho 3.43
Sc  0.4128  0.7688  0.5000  4 Sc 3.15-3.33, 4 Dy 3.17-3.48, 1 Ho 3.24
Dy  0.0001  0.0000  0.5000  8 Dy 3.52, 4 Sc 3.75-3.76
Ho  0.8775  0.0000  0.0000  4 Sc 3.24, 4 Dy 3.43
Sc  0.5872  0.7312  0.0000  4 Sc 3.15-3.33, 4 Dy 3.17-3.48, 1 Ho 3.24
Dy  0.7999  0.6919  0.3081  4 Sc 3.17-3.48, 5 Dy 3.35-3.52, 1 Ho 3.43
Sc  0.4125  0.5000  0.2300  4 Sc 3.15-3.33, 4 Dy 3.17-3.48, 1 Ho 3.24
Ho  0.1225  0.5000  0.5000  4 Sc 3.24, 4 Dy 3.43
Sc  0.5872  0.2688  0.0000  4 Sc 3.15-3.33, 4 Dy 3.17-3.48, 1 Ho 3.24
Dy  0.7999  0.6919  0.6919  4 Sc 3.17-3.48, 5 Dy 3.35-3.52, 1 Ho 3.43
Dy  0.7999  0.3081  0.6919  4 Sc 3.17-3.48, 5 Dy 3.35-3.52, 1 Ho 3.43
Dy  0.7999  0.3081  0.3081  4 Sc 3.17-3.48, 5 Dy 3.35-3.52, 1 Ho 3.43
Sc  0.4128  0.2312  0.5000  4 Sc 3.15-3.33, 4 Dy 3.17-3.48, 1 Ho 3.24
********
• The text goes on:

The Return of the Imperator

August 19 363 CE

Susa was falling. (1) A flood of fire poured through the streets. Persians lay dead in the thousands. Steadily the thumps of a mighty army were audible. The All-Conquering Sun's servant had come. The rays from above scorched the dead, and they too burned. Julian rode into Susa, as Shapur still hid out somewhere in the city.

"Shapur! You flith! The Sun has decreed your death or obediance, and so I shall either take your life or your freedom. Resistance will not work. None can oppose the Sun. Come here and face me, conqueror of your pathetic empire!"

A citizen of Susa still alive aside the military procession of the Romans screamed. They were instantly silenced.

"Find him!" Roared Julian.

The soldiers dug through the ruins of houses, the piles of corpses, and the heaps of ashes. Shapur could not be found. The last Sassanid after this wretch was under Julian's tutelage. This was all he needed. Suddenly, a man could be heard wheezing as he ran out of the city. Julian immediately stopped and raced after him. Suddenly Julian noticed a small flame on his back. It grew and grew. This man screamed incomprehensibly and writhed in agony as flames consumed his entire body. He died outside Susa, a burnt and charred husk with nothing to its credit. (2)

"A fitting death for the King of Kings." Spat Julian.


It's very short, yes. There is a map coming. If you all have seen my UOTS:E maps, you will recognize the format. :)
So yeah. Bigger update coming soon. I just had to get this out. Sorry I didn't do it sooner.

(1)- yes the story skipped a bit of time. needed to be done. I may have to go back and retcon some of the older chapters due to "recent events."

(2)- Ritual immolation. Even Zoroaster can't save you from getting roasted there. The promise of a world away from the Romans of Ahriman is a dream come true.